**Given**
____________
DFT (PBE) results for an optimized crystal structure of Sm7ErTm2.

* formation energy: 0.2 eV/f.u.
* raw total energy: -46.4 eV for the cell shown
* crystal system: triclinic
* D(E_F): 14.20 states/eV/cell

Unit cell a=6.2071 b=6.2091 c=9.4858 alpha=102.52 beta=109.06 gamma=99.48
Positions (direct):
Sm 0.0000 0.0000 0.0000
Sm 0.1978 0.9995 0.3993
Sm 0.2013 0.5025 0.9000
Sm 0.4026 0.5014 0.3010
Sm 0.5974 0.4986 0.6990
Sm 0.7987 0.4975 0.1000
Sm 0.8022 0.0005 0.6007
Er 0.0000 0.5000 0.5000
Tm 0.4003 0.9992 0.8000
Tm 0.5997 0.0008 0.2000

DFT (PBE) results for an optimized crystal structure of LiRe2Sb.

* raw total energy: -57.6 eV for the cell shown
* crystal system: tetragonal
* formation energy (no corrections): 530.3 meV/atom
* D(E_F): 3.88 states/eV/cell

Unit cell a=9.7684 b=9.7684 c=9.7684 alpha=157.13 beta=157.13 gamma=32.56
Positions (direct):
Li 0.0000 0.0000 0.0000
Li 0.7500 0.2500 0.5000
Re 0.0641 0.6250 0.9391
Re 0.3750 0.3141 0.4391
Re 0.6859 0.1250 0.0609
Re 0.8750 0.9359 0.5609
Sb 0.2500 0.7500 0.5000
Sb 0.5000 0.5000 0.0000

DFT (PBE) results for an optimized crystal structure of SbIr2Pd2.

* raw total energy: -62.7 eV for the cell shown
* crystal system: tetragonal
* formation energy (no corrections): 180.9 meV/atom
* D(E_F): 12.75 states/eV/cell

Unit cell a=6.6334 b=6.6334 c=3.9716 alpha=90.00 beta=90.00 gamma=90.00
Positions (direct):
Sb 0.0000 0.0000 0.0000
Sb 0.5000 0.5000 0.0000
Ir 0.1333 0.3667 0.0000
Ir 0.3667 0.8667 0.0000
Ir 0.6333 0.1333 0.0000
Ir 0.8667 0.6333 0.0000
Pd 0.1680 0.6680 0.5000
Pd 0.3320 0.1680 0.5000
Pd 0.6680 0.8320 0.5000
Pd 0.8320 0.3320 0.5000

DFT (PBE) results for an optimized crystal structure of NdTiAl4.

* formation energy: -2.0 eV/f.u.
* raw total energy: -29.6 eV for the cell shown
* crystal system: cubic
* D(E_F): 3.28 states/eV/cell

Unit cell a=5.4439 b=5.4439 c=5.4439 alpha=60.00 beta=60.00 gamma=60.00
Positions (direct):
Nd 0.0000 0.0000 0.0000
Ti 0.7500 0.7500 0.7500
Al 0.3755 0.3755 0.3755
Al 0.3755 0.3755 0.8734
Al 0.3755 0.8734 0.3755
Al 0.8734 0.3755 0.3755

DFT (PBE) results for an optimized crystal structure of Ac3Ge2Au4.

* formation energy: -7.5 eV/f.u.
* raw total energy: -42.1 eV for the cell shown
* crystal system: monoclinic
* D(E_F): 2.77 states/eV/cell

Unit cell a=6.2808 b=6.2808 c=9.2035 alpha=106.80 beta=106.80 gamma=43.38
Positions (direct):
Ac 0.0000 0.0000 0.0000
Ac 0.3351 0.3351 0.3352
Ac 0.6649 0.6649 0.6648
Ge 0.3913 0.3913 0.7204
Ge 0.6087 0.6087 0.2796
Au 0.0580 0.0580 0.3851
Au 0.2840 0.2840 0.9368
Au 0.7160 0.7160 0.0632
Au 0.9420 0.9420 0.6149

DFT (PBE) results for an optimized crystal structure of MnCoP2.

* formation energy: -1.0 eV/f.u.
* raw total energy: -28.1 eV for the cell shown
* crystal system: monoclinic
* D(E_F): 3.31 states/eV/cell

Unit cell a=3.8079 b=2.7232 c=4.6932 alpha=90.00 beta=113.40 gamma=90.00
Positions (direct):
Mn 0.0000 0.0000 0.0000
Co 0.5000 0.5000 0.5000
P 0.0000 0.0000 0.5000
P 0.5000 0.5000 0.0000

DFT (PBE) results for an optimized crystal structure of PmGeBi2.

* formation energy: -0.7 eV/f.u.
* raw total energy: -17.8 eV for the cell shown
* crystal system: trigonal
* D(E_F): 3.26 states/eV/cell

Unit cell a=8.2369 b=8.2369 c=8.2369 alpha=30.13 beta=30.13 gamma=30.13
Positions (direct):
Pm 0.0000 0.0000 0.0000
Ge 0.5000 0.5000 0.5000
Bi 0.2432 0.2432 0.2432
Bi 0.7568 0.7568 0.7568

DFT (PBE) results for an optimized crystal structure of RbSn3Sb.

* raw total energy: -34.8 eV for the cell shown
* crystal system: triclinic
* formation energy (no corrections): -65.1 meV/atom
* D(E_F): 2.80 states/eV/cell

Unit cell a=6.8581 b=7.0148 c=7.2058 alpha=90.00 beta=89.92 gamma=89.89
Positions (direct):
Rb 0.0000 0.0000 0.0000
Rb 0.5001 0.4752 0.5000
Sn 0.2480 0.9742 0.5242
Sn 0.2517 0.5013 0.0241
Sn 0.5001 0.8620 0.1799
Sn 0.7474 0.5010 0.0235
Sn 0.7524 0.9741 0.5235
Sn 0.9994 0.6133 0.6796
Sb 0.0007 0.3105 0.3816
Sb 0.4998 0.1649 0.8819

DFT (PBE) results for an optimized crystal structure of Tb2Pm2Er.
____________
**Brief**
Print the data earlier on from the first line to the one with "-0.7 eV/f.u." unchanged, please.
**Here it is**
DFT (PBE) results for an optimized crystal structure of Sm7ErTm2.

* formation energy: 0.2 eV/f.u.
* raw total energy: -46.4 eV for the cell shown
* crystal system: triclinic
* D(E_F): 14.20 states/eV/cell

Unit cell a=6.2071 b=6.2091 c=9.4858 alpha=102.52 beta=109.06 gamma=99.48
Positions (direct):
Sm 0.0000 0.0000 0.0000
Sm 0.1978 0.9995 0.3993
Sm 0.2013 0.5025 0.9000
Sm 0.4026 0.5014 0.3010
Sm 0.5974 0.4986 0.6990
Sm 0.7987 0.4975 0.1000
Sm 0.8022 0.0005 0.6007
Er 0.0000 0.5000 0.5000
Tm 0.4003 0.9992 0.8000
Tm 0.5997 0.0008 0.2000

DFT (PBE) results for an optimized crystal structure of LiRe2Sb.

* raw total energy: -57.6 eV for the cell shown
* crystal system: tetragonal
* formation energy (no corrections): 530.3 meV/atom
* D(E_F): 3.88 states/eV/cell

Unit cell a=9.7684 b=9.7684 c=9.7684 alpha=157.13 beta=157.13 gamma=32.56
Positions (direct):
Li 0.0000 0.0000 0.0000
Li 0.7500 0.2500 0.5000
Re 0.0641 0.6250 0.9391
Re 0.3750 0.3141 0.4391
Re 0.6859 0.1250 0.0609
Re 0.8750 0.9359 0.5609
Sb 0.2500 0.7500 0.5000
Sb 0.5000 0.5000 0.0000

DFT (PBE) results for an optimized crystal structure of SbIr2Pd2.

* raw total energy: -62.7 eV for the cell shown
* crystal system: tetragonal
* formation energy (no corrections): 180.9 meV/atom
* D(E_F): 12.75 states/eV/cell

Unit cell a=6.6334 b=6.6334 c=3.9716 alpha=90.00 beta=90.00 gamma=90.00
Positions (direct):
Sb 0.0000 0.0000 0.0000
Sb 0.5000 0.5000 0.0000
Ir 0.1333 0.3667 0.0000
Ir 0.3667 0.8667 0.0000
Ir 0.6333 0.1333 0.0000
Ir 0.8667 0.6333 0.0000
Pd 0.1680 0.6680 0.5000
Pd 0.3320 0.1680 0.5000
Pd 0.6680 0.8320 0.5000
Pd 0.8320 0.3320 0.5000

DFT (PBE) results for an optimized crystal structure of NdTiAl4.

* formation energy: -2.0 eV/f.u.
* raw total energy: -29.6 eV for the cell shown
* crystal system: cubic
* D(E_F): 3.28 states/eV/cell

Unit cell a=5.4439 b=5.4439 c=5.4439 alpha=60.00 beta=60.00 gamma=60.00
Positions (direct):
Nd 0.0000 0.0000 0.0000
Ti 0.7500 0.7500 0.7500
Al 0.3755 0.3755 0.3755
Al 0.3755 0.3755 0.8734
Al 0.3755 0.8734 0.3755
Al 0.8734 0.3755 0.3755

DFT (PBE) results for an optimized crystal structure of Ac3Ge2Au4.

* formation energy: -7.5 eV/f.u.
* raw total energy: -42.1 eV for the cell shown
* crystal system: monoclinic
* D(E_F): 2.77 states/eV/cell

Unit cell a=6.2808 b=6.2808 c=9.2035 alpha=106.80 beta=106.80 gamma=43.38
Positions (direct):
Ac 0.0000 0.0000 0.0000
Ac 0.3351 0.3351 0.3352
Ac 0.6649 0.6649 0.6648
Ge 0.3913 0.3913 0.7204
Ge 0.6087 0.6087 0.2796
Au 0.0580 0.0580 0.3851
Au 0.2840 0.2840 0.9368
Au 0.7160 0.7160 0.0632
Au 0.9420 0.9420 0.6149

DFT (PBE) results for an optimized crystal structure of MnCoP2.

* formation energy: -1.0 eV/f.u.
* raw total energy: -28.1 eV for the cell shown
* crystal system: monoclinic
* D(E_F): 3.31 states/eV/cell

Unit cell a=3.8079 b=2.7232 c=4.6932 alpha=90.00 beta=113.40 gamma=90.00
Positions (direct):
Mn 0.0000 0.0000 0.0000
Co 0.5000 0.5000 0.5000
P 0.0000 0.0000 0.5000
P 0.5000 0.5000 0.0000

DFT (PBE) results for an optimized crystal structure of PmGeBi2.

* formation energy: -0.7 eV/f.u.